# Listing
- - -
VASP calculation (PBE) on an optimized crystal structure of Hf3TlS.

Results
* distance to the lowest polymorph of the same formula: 1.7553 eV/atom
* uncorrected formation energy: 1538 meV per atom

Geometry as CIF:
```
data_Hf3TlS
_space_group_name_H-M_alt 'P m -3 m'
_space_group_IT_number 221
_space_group_name_Hall '-P 4 2 3'
_cell_length_a 5.286
_cell_length_b 5.286
_cell_length_c 5.286
_cell_angle_alpha 90.00
_cell_angle_beta 90.00
_cell_angle_gamma 90.00
loop_
_atom_site_label
_atom_site_fract_x
_atom_site_fract_y
_atom_site_fract_z
Hf1 0.000 0.000 0.500
Tl1 0.000 0.000 0.000
S1 0.500 0.500 0.500
```

---

VASP calculation (PBE) on an optimized crystal structure of Rb2CuPPt.

Results
* calculated formation energy: 1.93 eV per formula unit

Geometry as CIF:
```
data_Rb2CuPPt
_space_group_name_H-M_alt 'P 4/m m m'
_space_group_IT_number 123
_space_group_name_Hall '-P 4 2'
_cell_length_a 6.636
_cell_length_b 6.636
_cell_length_c 4.141
_cell_angle_alpha 90.00
_cell_angle_beta 90.00
_cell_angle_gamma 90.00
loop_
_atom_site_label
_atom_site_fract_x
_atom_site_fract_y
_atom_site_fract_z
Rb1 0.000 0.500 0.000
Cu1 0.000 0.000 0.500
P1 0.000 0.000 0.000
Pt1 0.500 0.500 0.500
```

---

VASP calculation (PBE) on an optimized crystal structure of In2As2F.

Results
* distance to the lowest polymorph of the same formula: 0.0119 eV/atom
* uncorrected formation energy: -433 meV per atom

Geometry as CIF:
```
data_In2As2F
_space_group_name_H-M_alt 'P 4/m b m'
_space_group_IT_number 127
_space_group_name_Hall '-P 4 2ab'
_cell_length_a 6.913
_cell_length_b 6.913
_cell_length_c 4.558
_cell_angle_alpha 90.00
_cell_angle_beta 90.00
_cell_angle_gamma 90.00
loop_
_atom_site_label
_atom_site_fract_x
_atom_site_fract_y
_atom_site_fract_z
In1 0.194 0.306 0.000
As1 0.127 0.627 0.500
F1 0.000 0.000 0.000
```

---

VASP calculation (PBE) on an optimized crystal structure of ZrGa2Si.

Results
* uncorrected formation energy: -127 meV per atom

Geometry as CIF:
```
data_ZrGa2Si
_space_group_name_H-M_alt 'I -4 2 d'
_space_group_IT_number 122
_space_group_name_Hall 'I -4 2bw'
_cell_length_a 7.405
_cell_length_b 7.405
_cell_length_c 5.413
_cell_angle_alpha 90.00
_cell_angle_beta 90.00
_cell_angle_gamma 90.00
loop_
_atom_site_label
_atom_site_fract_x
_atom_site_fract_y
_atom_site_fract_z
Zr1 0.000 0.000 0.000
Ga1 0.213 0.250 0.625
Si1 0.000 0.000 0.500
```

---

VASP calculation (PBE) on an optimized crystal structure of CrIr2Pd.

Results
* calculated formation energy: 1.31 eV per formula unit

Geometry as CIF:
```
data_CrIr2Pd
_space_group_name_H-M_alt 'I -4 2 d'
_space_group_IT_number 122
_space_group_name_Hall 'I -4 2bw'
_cell_length_a 6.912
_cell_length_b 6.912
_cell_length_c 5.211
_cell_angle_alpha 90.00
_cell_angle_beta 90.00
_cell_angle_gamma 90.00
loop_
_atom_site_label
_atom_site_fract_x
_atom_site_fract_y
_atom_site_fract_z
Cr1 0.000 0.000 0.000
Ir1 0.201 0.250 0.125
Pd1 0.000 0.000 0.500
```

---

VASP calculation (PBE) on an optimized crystal structure of Fe3Ag.

Results
* calculated formation energy: 1.34 eV per formula unit

Geometry as CIF:
```
data_Fe3Ag
_space_group_name_H-M_alt 'C 1 2/m 1'
_space_group_IT_number 12
_cell_length_a 8.786
_cell_length_b 2.622
_cell_length_c 4.718
_cell_angle_alpha 90.00
_cell_angle_beta 98.23
_cell_angle_gamma 90.00
loop_
_space_group_symop_operation_xyz
'x,y,z'
'-x,-y,-z'
'-x,y,-z'
'x,-y,z'
'x+1/2,y+1/2,z'
'-x+1/2,-y+1/2,-z'
'-x+1/2,y+1/2,-z'
'x+1/2,-y+1/2,z'
loop_
_atom_site_label
_atom_site_fract_x
_atom_site_fract_y
_atom_site_fract_z
Fe1 0.000 0.000 0.000
Fe2 0.248 0.500 0.235
Ag1 0.000 0.500 0.500
```

---

VASP calculation (PBE) on an optimized crystal structure of K2SbTe.

Results
* distance to the lowest polymorph of the same formula: 0.0738 eV/atom
* uncorrected formation energy: -468 meV per atom

Geometry as CIF:
```
data_K2SbTe
_space_group_name_H-M_alt 'P m m m'
_space_group_IT_number 47
_cell_length_a 3.700
_cell_length_b 5.249
_cell_length_c 6.854
_cell_angle_alpha 90.00
_cell_angle_beta 90.00
- - -

# Assignment
Now return the material earlier on from the first line to the one with "2ab'" unchanged.

# Done
VASP calculation (PBE) on an optimized crystal structure of Hf3TlS.

Results
* distance to the lowest polymorph of the same formula: 1.7553 eV/atom
* uncorrected formation energy: 1538 meV per atom

Geometry as CIF:
```
data_Hf3TlS
_space_group_name_H-M_alt 'P m -3 m'
_space_group_IT_number 221
_space_group_name_Hall '-P 4 2 3'
_cell_length_a 5.286
_cell_length_b 5.286
_cell_length_c 5.286
_cell_angle_alpha 90.00
_cell_angle_beta 90.00
_cell_angle_gamma 90.00
loop_
_atom_site_label
_atom_site_fract_x
_atom_site_fract_y
_atom_site_fract_z
Hf1 0.000 0.000 0.500
Tl1 0.000 0.000 0.000
S1 0.500 0.500 0.500
```

---

VASP calculation (PBE) on an optimized crystal structure of Rb2CuPPt.

Results
* calculated formation energy: 1.93 eV per formula unit

Geometry as CIF:
```
data_Rb2CuPPt
_space_group_name_H-M_alt 'P 4/m m m'
_space_group_IT_number 123
_space_group_name_Hall '-P 4 2'
_cell_length_a 6.636
_cell_length_b 6.636
_cell_length_c 4.141
_cell_angle_alpha 90.00
_cell_angle_beta 90.00
_cell_angle_gamma 90.00
loop_
_atom_site_label
_atom_site_fract_x
_atom_site_fract_y
_atom_site_fract_z
Rb1 0.000 0.500 0.000
Cu1 0.000 0.000 0.500
P1 0.000 0.000 0.000
Pt1 0.500 0.500 0.500
```

---

VASP calculation (PBE) on an optimized crystal structure of In2As2F.

Results
* distance to the lowest polymorph of the same formula: 0.0119 eV/atom
* uncorrected formation energy: -433 meV per atom

Geometry as CIF:
```
data_In2As2F
_space_group_name_H-M_alt 'P 4/m b m'
_space_group_IT_number 127
_space_group_name_Hall '-P 4 2ab'